### Listing
- - -
Simulated powder XRD pattern
Compound: CaV4O8
Radiation: Cu Ka
Structure: a structure optimized by DFT (GGA+U)
Neutral-atom scattering factors, no anomalous dispersion.

Structural model:
a = 10.523 Å, b = 5.923 Å, c = 7.518 Å
α = 90.00°, β = 131.73°, γ = 90.00°
Space group C2/m (No. 12)
Symmetry-distinct sites (fractional):
Ca: 0.000 0.000 0.000 [2 per cell]
V: 0.000 0.251 0.500 [4 per cell]
V: 0.230 0.500 0.449 [4 per cell]
O: 0.003 0.500 0.323 [4 per cell]
O: 0.012 0.000 0.329 [4 per cell]
O: 0.233 0.239 0.307 [8 per cell]

Principal peaks in the range 2θ from 5° to 70°, in order of rising 2θ:
| 2θ (°) | d (Å) | I_rel | index |
| --- | --- | --- | --- |
| 15.80 | 5.610 | 1000 | 0 0 1 |
| 29.82 | 2.997 | 70 | 1 1 -2 |
| 34.12 | 2.628 | 85 | 4 0 -2 |
| 34.77 | 2.580 | 193 | 2 2 -1 |
| 37.11 | 2.423 | 120 | 4 0 -1 |
| 38.74 | 2.324 | 229 | 2 2 -2 |
| 46.24 | 1.963 | 152 | 4 0 0 |
| 47.33 | 1.921 | 77 | 2 2 1 |
| 48.48 | 1.878 | 284 | 2 2 -3 |
| 61.49 | 1.508 | 115 | 6 2 -3 |
- - -

### Request
Now restate every line further above that contains the word "of".

### Completed
Principal peaks in the range 2θ from 5° to 70°, in order of rising 2θ: